• What to do:
Work out how many lines below have the word "Os" in them; a number is enough, please.

• Data:
+++
No. 1
{
  "formula": "B5C",
  "functional": "PBE-GGA",
  "state": "relaxed",
  "cell": [[2.768, 0.000, 0.000], [-1.384, 2.397, 0.000], [0.000, 0.000, 16.710]],
  "species": ["B", "B", "B", "B", "B", "B", "B", "B", "B", "B", "C", "C"],
  "fractional_positions": [[0.000, 0.000, 0.131], [0.000, 0.000, 0.350], [0.000, 0.000, 0.650], [0.000, 0.000, 0.869], [0.333, 0.667, 0.369], [0.333, 0.667, 0.470], [0.333, 0.667, 0.970], [0.667, 0.333, 0.030], [0.667, 0.333, 0.530], [0.667, 0.333, 0.631], [0.333, 0.667, 0.876], [0.667, 0.333, 0.124]],
  "sg": "P-3m1",
  "formation_enthalpy_0k_kj_per_mol_fu": 337
}



No. 2
{
  "formula": "Dy2Y5Th",
  "functional": "PBE-GGA",
  "state": "relaxed",
  "cell": [[7.135, 0.000, 0.000], [0.000, 14.306, 0.000], [0.000, 0.000, 5.044]],
  "species": ["Dy", "Dy", "Dy", "Dy", "Y", "Y", "Y", "Y", "Y", "Y", "Y", "Y", "Y", "Y", "Th", "Th"],
  "fractional_positions": [[0.245, 0.123, 0.000], [0.255, 0.623, 0.000], [0.745, 0.377, 0.000], [0.755, 0.877, 0.000], [0.000, 0.500, 0.500], [0.001, 0.248, 0.500], [0.244, 0.877, 0.000], [0.256, 0.377, 0.000], [0.499, 0.748, 0.500], [0.500, 0.000, 0.500], [0.501, 0.252, 0.500], [0.744, 0.623, 0.000], [0.756, 0.123, 0.000], [0.999, 0.752, 0.500], [0.000, 0.000, 0.500], [0.500, 0.500, 0.500]],
  "sg": "Pbam",
  "formation_enthalpy_0k_kj_per_mol_fu": 22
}



No. 3
{
  "formula": "MnGe2Ir",
  "functional": "PBE-GGA",
  "state": "relaxed",
  "cell": [[-3.539, 3.539, 2.706], [3.539, -3.539, 2.706], [3.539, 3.539, -2.706]],
  "species": ["Mn", "Mn", "Ge", "Ge", "Ge", "Ge", "Ir", "Ir"],
  "fractional_positions": [[0.000, 0.000, 0.000], [0.750, 0.250, 0.500], [0.148, 0.125, 0.523], [0.375, 0.852, 0.977], [0.602, 0.625, 0.477], [0.875, 0.398, 0.023], [0.250, 0.750, 0.500], [0.500, 0.500, 0.000]],
  "sg": "I-42d",
  "formation_enthalpy_0k_kj_per_mol_fu": 83
}



No. 4
{
  "formula": "TiHO3",
  "functional": "PBE-GGA",
  "state": "relaxed",
  "cell": [[1.479, -7.942, 0.000], [1.479, 7.942, 0.000], [0.000, 0.000, 4.649]],
  "species": ["Ti", "Ti", "H", "H", "O", "O", "O", "O", "O", "O"],
  "fractional_positions": [[0.110, 0.890, 0.750], [0.890, 0.110, 0.250], [0.353, 0.647, 0.750], [0.647, 0.353, 0.250], [0.003, 0.997, 0.250], [0.353, 0.647, 0.003], [0.353, 0.647, 0.497], [0.647, 0.353, 0.503], [0.647, 0.353, 0.997], [0.997, 0.003, 0.750]],
  "sg": "Cmcm",
  "energy_ev_per_atom": -6.955
}



No. 5
{
  "formula": "GeOsI",
  "functional": "PBE-GGA",
  "state": "relaxed",
  "cell": [[3.189, 0.000, 0.000], [1.587, 4.344, 0.000], [1.155, -0.322, 10.763]],
  "species": ["Ge", "Ge", "Os", "Os", "I", "I"],
  "fractional_positions": [[0.131, 0.314, 0.393], [0.869, 0.686, 0.607], [0.404, 0.758, 0.411], [0.596, 0.242, 0.589], [0.498, 0.256, 0.841], [0.502, 0.744, 0.159]],
  "formation_energy_uncorrected_kcal_per_mol_atoms": 5.61,
  "sg": "P-1"
}



No. 6
{
  "formula": "BaSnTe2N",
  "functional": "PBE-GGA",
  "state": "relaxed",
  "cell": [[5.973, 0.000, 0.000], [0.000, 5.973, 0.000], [0.000, 0.000, 4.256]],
  "species": ["Ba", "Sn", "Te", "Te", "N"],
  "fractional_positions": [[0.000, 0.000, 0.000], [0.500, 0.500, 0.500], [0.000, 0.500, 0.500], [0.500, 0.000, 0.500], [0.500, 0.500, 0.000]],
  "formation_energy_uncorrected_kcal_per_mol_atoms": -2.87,
  "sg": "P4/mmm"
}



No. 7
{
  "formula": "HRh2Au2",
  "functional": "PBE-GGA",
  "state": "relaxed",
  "cell": [[5.359, 0.000, 0.000], [0.000, 5.359, 0.000], [0.000, 0.000, 4.895]],
  "species": ["H", "H", "Rh", "Rh", "Rh", "Rh", "Au", "Au", "Au", "Au"],
  "fractional_positions": [[0.000, 0.000, 0.000], [0.500, 0.500, 0.000], [0.172, 0.328, 0.000], [0.328, 0.828, 0.000], [0.672, 0.172, 0.000], [0.828, 0.672, 0.000], [0.178, 0.678, 0.500], [0.322, 0.178, 0.500], [0.678, 0.822, 0.500], [0.822, 0.322, 0.500]],
  "sg": "P4/mbm",
  "energy_ev_per_atom": -4.713
}



No. 8
{
  "formula": "SrThBN3",
  "functional": "PBE-GGA",
  "state": "relaxed",
  "cell": [[5.691, 0.000, 0.000], [-2.846, 4.929, 0.000], [0.000, 0.000, 6.592]],
+++

• Response:
1